How will Galway vote in the referendum?

galway daily vote referendum 8th amendment

Finally, after a six week campaign, the country is ready to vote.

According to the National Youth Council today, there has been a huge increase in voter registration ahead of the referendum, with registration figures for Galway rising by a massive 97%.

And with thousands of new voters, the turnout is expected to be high this time around – much higher than in the 8th Amendment referendum in 1983.

The great weather that’s on its way shouldn’t do any harm either.

Back in 1983, only 53% of eligible Irish people voted.

In Galway East, the turnout was 50% and in Galway West it was even lower, at 41%.

_Records of crystals that have nothing to do with the piece_
<<<
(1)
Diffraction record for NaTiSe4. The XRD peak list is theoretical, not measured: it uses the GGA-PBE geometry in Alexandria and Cu Kα.
No peak broadening, texture or thermal motion is included.

Atomic structure:
```
data_NaTiSe4
_space_group_name_H-M_alt 'P 1 21/c 1'
_space_group_IT_number 14
_space_group_name_Hall '-P 2ybc'
_cell_length_a 13.080
_cell_length_b 7.422
_cell_length_c 13.136
_cell_angle_alpha 90.00
_cell_angle_beta 106.63
_cell_angle_gamma 90.00
loop_
_atom_site_label
_atom_site_type_symbol
_atom_site_fract_x
_atom_site_fract_y
_atom_site_fract_z
_atom_site_occupancy
Na1 Na 0.038 0.164 0.119 1
Na2 Na 0.403 0.178 0.131 1
Ti1 Ti 0.233 0.726 0.115 1
Ti2 Ti 0.283 0.699 0.374 1
Se1 Se 0.050 0.582 0.104 1
Se2 Se 0.103 0.694 0.742 1
Se3 Se 0.176 0.518 0.500 1
Se4 Se 0.234 0.501 0.963 1
Se5 Se 0.252 0.079 0.752 1
Se6 Se 0.380 0.632 0.771 1
Se7 Se 0.398 0.648 0.049 1
Se8 Se 0.409 0.077 0.903 1
```

Most intense lines, 2θ from 10° to 90°, by angle:
hkl 1 1 0, 2θ = 13.9°, I 100; hkl 2 0 -4, 2θ = 27.8°, I 37; hkl 0 2 2, 2θ = 27.9°, I 29; hkl 3 1 -3, 2θ = 28.2°, I 89; hkl 0 2 3, 2θ = 32.2°, I 47; hkl 3 1 -4, 2θ = 32.7°, I 30; hkl 3 1 3, 2θ = 36.5°, I 35; hkl 3 1 4, 2θ = 42.4°, I 34; hkl 2 2 4, 2θ = 43.2°, I 29; hkl 6 0 0, 2θ = 43.3°, I 35


(2)
Diffraction record for BaSb4Pt5. The XRD peak list is theoretical, not measured: it uses the GGA-PBE geometry in Alexandria and Cu Kα.
No peak broadening, texture or thermal motion is included.

Atomic structure:
```
data_BaSb4Pt5
_space_group_name_H-M_alt 'P 1 21/m 1'
_space_group_IT_number 11
_space_group_name_Hall '-P 2yb'
_cell_length_a 4.636
_cell_length_b 7.889
_cell_length_c 12.635
_cell_angle_alpha 90.00
_cell_angle_beta 90.03
_cell_angle_gamma 90.00
loop_
_atom_site_label
_atom_site_type_symbol
_atom_site_fract_x
_atom_site_fract_y
_atom_site_fract_z
_atom_site_occupancy
Ba1 Ba 0.012 0.250 0.250 1
Sb1 Sb 0.244 0.750 0.028 1
Sb2 Sb 0.244 0.750 0.472 1
Sb3 Sb 0.497 0.052 0.750 1
Pt1 Pt 0.014 0.750 0.250 1
Pt2 Pt 0.245 0.058 0.561 1
Pt3 Pt 0.245 0.058 0.939 1
```

Most intense lines, 2θ from 10° to 90°, by angle:
hkl 0 1 1, 2θ = 13.2°, I 56; hkl 0 0 4, 2θ = 28.3°, I 36; hkl 1 0 3, 2θ = 28.6°, I 41; hkl 1 2 0, 2θ = 29.7°, I 27; hkl 1 2 2, 2θ = 33.0°, I 43; hkl 1 2 -3, 2θ = 36.7°, I 45; hkl 1 3 0, 2θ = 39.4°, I 44; hkl 2 0 -2, 2θ = 41.5°, I 100; hkl 1 3 2, 2θ = 42.0°, I 41; hkl 1 2 5, 2θ = 47.0°, I 34


(3)
Diffraction record for CeTh4Rh15. The XRD peak list is theoretical, not measured: it uses the GGA-PBE geometry in Alexandria and Cu Kα.
No peak broadening, texture or thermal motion is included.

Atomic structure:
```
data_CeTh4Rh15
_space_group_name_H-M_alt 'P 4/m m m'
_space_group_IT_number 123
_space_group_name_Hall '-P 4 2'
_cell_length_a 4.107
_cell_length_b 4.107
_cell_length_c 20.710
_cell_angle_alpha 90.00
_cell_angle_beta 90.00
_cell_angle_gamma 90.00
loop_
_atom_site_label
_atom_site_type_symbol
_atom_site_fract_x
_atom_site_fract_y
_atom_site_fract_z
_atom_site_occupancy
>>>
_So much for the records of crystals_

The results are also expected to be much different than when the referendum passed with a 67% Yes vote in 1983.

Galway East recorded one of the country’s highest Yes votes back then (80.3%), while Galway West was below the national average with just 64.5 % voting in favour of the 8th Amendment.

Some of Dublin’s constituencies were the only ones to vote No in the referendum – 58% of Dún Laoghaire voters said  No, and the urban constituencies are again expected to be the least conservative.

For this week’s referendum, an estimated 125,000 people were added to the supplementary electoral register between February and the recent May 8th deadline (based on figures from 14 councils).

And across Galway, both sides are hitting the streets in a final push to win over undecided voters.

- - -
Computed X-ray diffraction stick pattern
Compound: AlV2O4
Radiation: Cu Kα (λ = 1.5418 Å)
Structure: a DFT-relaxed cell (GGA+U, Alexandria)
Intensities are scaled so that the largest is 100.

Cell and atoms:
```
data_AlV2O4
_cell_length_a 5.9848
_cell_length_b 5.9848
_cell_length_c 8.3193
_cell_angle_alpha 90.00
_cell_angle_beta 90.00
_cell_angle_gamma 90.00
_space_group_name_H-M_alt 'P 43 21 2'
_space_group_IT_number 96
loop_
_space_group_symop_operation_xyz
'x,y,z'
'-y+1/2,x+1/2,z+3/4'
'-x,-y,z+1/2'
'y+1/2,-x+1/2,z+1/4'
'x+1/2,-y+1/2,-z+1/4'
'-y,-x,-z+1/2'
'-x+1/2,y+1/2,-z+3/4'
'y,x,-z'
loop_
_atom_site_label
_atom_site_fract_x
_atom_site_fract_y
_atom_site_fract_z
_atom_site_occupancy
Al1 0.2466 0.2466 0.0000 1
V1 0.0117 0.2451 0.6193 1
O1 0.0015 0.2606 0.3689 1
O2 0.0026 0.2424 0.8722 1
```

The 12 most intense peaks (5° ≤ 2θ ≤ 70°), low angle first:
Position (°2θ), d (Å), intensity
18.26, 4.858, 55.6
30.13, 2.967, 12.5
35.22, 2.548, 100.0
35.68, 2.516, 49.7
37.01, 2.429, 10.6
42.73, 2.116, 54.4
43.51, 2.080, 25.6
56.54, 1.628, 23.0
56.86, 1.619, 12.2
57.49, 1.603, 10.6
62.03, 1.496, 29.1
62.63, 1.483, 56.4

* * * * *

# K2Rb6O
Theoretical powder diffraction line list, λ = 1.5418 Å (Cu Kα). Input: a crystal structure in Alexandria, relaxed with GGA-PBE.

Crystal structure
```
data_K2Rb6O
_symmetry_space_group_name_H-M 'R 3 m'
_symmetry_Int_Tables_number 160
_symmetry_space_group_name_Hall 'R 3 -2"'
_cell_length_a 9.2794
_cell_length_b 9.2794
_cell_length_c 24.0636
_cell_angle_alpha 90.00
_cell_angle_beta 90.00
_cell_angle_gamma 120.00
loop_
_atom_site_label
_atom_site_fract_x
_atom_site_fract_y
_atom_site_fract_z
K1 0.0000 0.0000 0.0000
K2 0.0000 0.0000 0.1876
Rb1 0.1935 0.3870 0.4808
Rb2 0.1947 0.3894 0.3311
O1 0.0000 0.0000 0.7384
```

Principal peaks in the range 10 to 90 degrees two-theta, sorted by position:
2theta, I (rel.), hkl
11.6, 45, 1 0 1
13.2, 23, 0 1 2
22.2, 44, 0 0 6
22.4, 100, 0 2 1
23.3, 36, 2 0 2
28.9, 38, 2 0 5
34.3, 36, 0 2 7
40.5, 24, 0 3 6
- - -
So much for the data records

Yesterday, a Galway Pro-Choice group said it reported a local business-owner to the gardaí who was removing posters in the city.

Last week, Declan Ganley’s brother was allegedly assaulted while erecting pro-life posters.

And while the battles continue on the ground, the latest opinion polls show that the Yes side still has a large lead.

The Sunday Business Post/Red C poll published yesterday shows that 56% are in favour of Repeal while the No side are still at 27%. The rest still don’t know or refused to answer.

With undecideds tending to veer towards the conservative side in referendums when it’s time to enter the polling stations, the Yes side will likely win with around 60% of the vote.

Galway East, judging from previous votes, is likely to be closer to 50 – 50 (with the Yes side still likely to win), while Galway West is very likely to vote for Repeal.

# Between two parts of the article: materials data
+++
(1)
For AgSbTeO, a DFT-relaxed cell (PBE, OQMD) gives the theoretical XRD peak list in this record (λ = 1.5418 Å (Cu Kα)).

Largest 8 diffraction maxima, sorted by position, 2θ from 10° to 90°:
index	two_theta	I/Imax
1 0 2	29.1	61
1 2 -1	29.6	22
2 1 -1	30.8	100
0 2 2	34.6	65
0 3 1	38.3	22
1 3 1	41.1	23
3 2 0	47.4	25
4 0 -2	58.5	22

Cell and atoms:
abc: 6.740 7.452 7.254
angles: 90.00 95.17 90.00
Space group P2_1/c (No. 14)
Symmetry-distinct sites (fractional):
1 Ag 0.030 0.194 0.493
2 Sb 0.432 0.555 0.796
3 Te 0.175 0.518 0.317
4 O 0.444 0.169 0.464

(2)
For LuHf2Ni4Ge4, a DFT-relaxed cell (PBE, OQMD) gives the theoretical XRD peak list in this record (λ = 1.5418 Å (Cu Kα)).

Largest 8 diffraction maxima, sorted by position, 2θ from 10° to 90°:
index	two_theta	I/Imax
1 2 1	36.2	100
0 1 5	37.1	31
1 1 4	38.4	95
0 0 6	41.7	18
0 3 3	46.2	27
2 0 0	46.3	34
0 4 0	55.5	23
1 5 4	82.4	23

Cell and atoms:
abc: 3.923 6.620 13.007
angles: 90.00 90.00 90.00
Space group Immm (No. 71)
Symmetry-distinct sites (fractional):
1 Lu 0.000 0.000 0.000
2 Hf 0.000 0.500 0.128
3 Ni 0.000 0.300 0.323
4 Ge 0.000 0.000 0.216
5 Ge 0.000 0.193 0.500

(3)
For Zr3TlB2, a DFT-relaxed cell (PBE, OQMD) gives the theoretical XRD peak list in this record (λ = 1.5418 Å (Cu Kα)).

Largest 8 diffraction maxima, sorted by position, 2θ from 10° to 90°:
index	two_theta	I/Imax
1 0 0	29.9	18
0 0 8	33.8	25
1 0 4	34.4	100
1 1 0	53.0	25
1 0 12	60.9	18
1 1 8	64.4	23
2 0 4	64.7	16
2 1 4	88.4	14

Cell and atoms:
abc: 3.4558 3.4558 21.2033
angles: 90.00 90.00 120.00
Space group P6_3/mmc (No. 194)
Symmetry-distinct sites (fractional):
1 Zr 0.0000 0.0000 0.0000
2 Zr 0.3333 0.6667 0.1293
3 Tl 0.0000 0.0000 0.2500
4 B 0.3333 0.6667 0.5696

(4)
For Sc2AlGa3Pt2, a DFT-relaxed cell (PBE, OQMD) gives the theoretical XRD peak list in this record (λ = 1.5418 Å (Cu Kα)).

Largest 8 diffraction maxima, sorted by position, 2θ from 10° to 90°:
index	two_theta	I/Imax
2 0 0	18.1	70
1 1 1	26.6	100
1 1 -2	35.5	68
3 1 1	37.3	87
0 2 0	42.8	49
3 1 -2	44.3	30
3 1 2	44.4	35
1 1 -3	47.2	63

Cell and atoms:
abc: 9.807 4.222 6.661
angles: 90.00 90.27 90.00
Space group Cm (No. 8)
Symmetry-distinct sites (fractional):
1 Sc 0.000 0.000 0.000
2 Sc 0.160 0.000 0.504
3 Al 0.443 0.000 0.305
4 Ga 0.207 0.500 0.206
5 Ga 0.210 0.500 0.801
6 Ga 0.452 0.000 0.706
7 Pt 0.288 0.000 0.003
8 Pt 0.377 0.500 0.502

(5)
For LaNdSn2Hg2, a DFT-relaxed cell (PBE, OQMD) gives the theoretical XRD peak list in this record (λ = 1.5418 Å (Cu Kα)).

Largest 8 diffraction maxima, sorted by position, 2θ from 10° to 90°:
index	two_theta	I/Imax
1 0 1	22.0	19
1 0 4	30.2	100
1 0 5	34.2	21
1 1 0	37.5	86
1 0 7	43.4	29
2 0 4	48.9	27
2 1 4	63.2	25
3 0 0	67.6	16

Cell and atoms:
abc: 4.7975 4.7975 16.8625
angles: 90.00 90.00 120.00
Space group P6_3/mmc (No. 194)
Symmetry-distinct sites (fractional):
1 La 0.0000 0.0000 0.0000
2 Nd 0.0000 0.0000 0.2500
3 Sn 0.3333 0.6667 0.1079
4 Hg 0.3333 0.6667 0.6567

(6)
+++

Sinn Féin was one of the only parties to oppose the amendment in 1983, but at that time, the party didn’t have any TDs or recognise the southern Irish parliament.

Now, the party is campaigning on the same side – for Repeal – with its new president Mary Lou McDonald’s face on Yes posters across the country.

“The only way we can help women facing crisis is by returning a YES vote and removing the eighth amendment from the constitution,” said an Uachtarán Shinn Féin.

“I think it is important in this debate that we deal in fact. I have heard assertions from the NO campaign and its spokespeople that the so-called hard cases – pregnancies as a result of rape or fatal foetal abnormality – can be dealt with under the current constitutional framework.

“This is patently untrue.

“The very same people making these false assertions themselves campaigned against the Protection of Life During Pregnancy Bill in 2013.

“This Bill, now widely recognised as being wholly inadequate, allowed doctors to intervene when a woman’s life is at risk; i.e. the bare minimum of care.

“They talked of floodgates opening, abortion becoming widely available and were ultimately proved wrong as they will be in this instance.

“The eighth amendment blocks any action to legislate in this or any other instances. We know this because we tried. Two separate Private Members Bills on these issues were rejected on the advice of the Attorney General.

“There is only one way that we can help women in these circumstances and that is by voting YES on Friday and removing the eighth amendment. To suggest otherwise is to be totally disingenuous,” she added.